‘The Andy Griffith Show’: Oscar Winner Tatum O’Neal’s Mom Was Briefly a Star on the Show

The Andy Griffith Show had its share of future famous actors appear throughout its episodes.
There was Rob Reiner in the show’s seventh season; Jerry Van Dyke in the fifth season; and Barbara Eden stopped by Floyd’s barber shop in Season 2.
One actor who appeared briefly on the series was the future mother of Academy Award-winning actor Tatum O’Neal.
So many love interests but no wedding

As much as Griffith was provided with more than a few love interests on the series, none of them resulted in a walk down the aisle. Ellie was sassy and smart, Peggy was warm and caring, and Helen Crump, his final and lasting relationship until Season 8, was as sharp-minded as she was pretty. It seemed Andy didn’t want to make a commitment, as Andy and Don author Daniel de Visé noted with a theory of his own.
“There would be no wedding for Ellie, nor for lovely Joanna Moore, fiery Aneta Corsaut, or any of the other women paraded through Mayberry as romantic interests for Andy, through the entire eight-year run of [the show],” he wrote. “The real “marriage” in Mayberry was between Andy and Barney.”
Joanna Moore was Griffith’s love interest for a time

'''
Below is a cluster of 11 separate species, C23H68N4O11 in total in a non-equilibrium geometry, with properties calculated with wB97M-V/def2-TZVPD.

Geometry (Å):
C: -1.90 4.05 -0.89
O: -2.18 4.85 0.17
H: -1.42 4.60 -1.67
H: -2.84 3.62 -1.15
H: -1.15 3.28 -0.62
H: -2.88 5.51 -0.04
C: -1.37 3.19 -3.97
O: -1.92 2.10 -4.76
H: -1.90 4.10 -4.08
H: -0.43 3.24 -4.43
H: -1.17 2.87 -2.90
H: -1.88 2.28 -5.73
C: 0.26 0.67 0.07
O: 1.54 0.10 -0.01
H: 0.18 1.06 1.12
H: -0.57 0.00 -0.10
H: 0.15 1.52 -0.57
H: 1.75 0.07 -0.96
C: -3.35 0.70 -2.28
O: -3.09 0.34 -0.97
N: -4.43 0.14 -2.72
N: -2.80 0.08 -3.30
H: -4.89 1.03 -3.13
H: -5.07 0.04 -1.89
H: -2.60 0.83 -3.99
H: -1.81 -0.08 -2.97
C: 1.38 0.15 -3.00
O: 0.05 0.19 -2.87
N: 1.98 -0.80 -3.63
N: 2.14 1.08 -2.58
H: 1.42 -1.47 -4.16
H: 2.96 -0.95 -3.73
H: 1.66 1.95 -2.19
H: 3.13 1.16 -2.50
C: -4.70 -1.62 1.86
C: -3.48 -2.27 1.15
C: -3.46 -3.79 1.29
O: -3.23 -1.88 -0.01
H: -4.65 -0.52 1.84
H: -4.74 -1.91 2.90
H: -5.62 -1.95 1.42
H: -2.67 -1.95 1.79
H: -3.48 -3.99 2.39
H: -2.54 -4.21 0.85
H: -4.33 -4.19 0.82
H: -3.09 -0.91 0.01
C: -0.85 -4.59 -1.59
C: -0.24 -3.11 -1.59
C: 1.25 -3.06 -1.35
O: -0.45 -2.51 -2.68
H: -1.92 -4.60 -1.34
H: -0.41 -5.26 -0.86
H: -0.78 -4.99 -2.64
H: -0.83 -2.49 -0.86
H: 1.99 -3.55 -2.11
H: 1.59 -3.45 -0.40
H: 1.64 -2.03 -1.28
H: 0.11 -1.72 -2.79
C: 2.20 -2.46 3.62
C: 1.44 -1.71 2.46
C: 0.06 -2.30 2.12
O: 1.16 -0.55 2.73
H: 3.27 -2.39 3.68
H: 2.12 -3.53 3.55
H: 1.84 -2.21 4.62
H: 2.21 -1.68 1.62
H: 0.17 -3.33 1.74
H: -0.40 -1.70 1.42
H: -0.62 -2.34 2.96
H: 1.10 -0.20 1.76
C: 5.22 -0.33 0.51
C: 5.70 -1.53 -0.20
C: 4.42 -2.31 -0.43
O: 6.14 -1.35 -1.36
H: 4.37 0.09 0.02
H: 5.93 0.51 0.45
H: 4.98 -0.49 1.58
H: 6.38 -2.14 0.32
H: 4.53 -3.20 -0.97
H: 3.62 -1.86 -0.94
H: 4.04 -2.54 0.56
H: 7.08 -1.10 -1.28
C: -2.15 0.94 2.85
C: -2.19 1.95 1.77
C: -3.65 2.24 1.56
O: -1.63 3.04 1.99
H: -2.82 0.17 2.80
H: -2.50 1.37 3.85
H: -1.14 0.47 3.03
H: -1.86 1.42 0.89
H: -4.41 1.53 1.79
H: -3.85 2.69 0.68
H: -3.91 2.99 2.28
H: -1.73 3.77 1.40
C: 3.36 2.36 1.41
C: 2.72 3.51 2.16
C: 1.21 3.30 2.25
O: 3.21 3.67 3.28
H: 4.42 2.58 1.33
H: 2.95 2.28 0.34
H: 3.43 1.40 1.89
H: 2.97 4.46 1.59
H: 0.79 3.38 1.23
H: 0.86 4.20 2.72
H: 0.82 2.45 2.66
H: 4.14 3.50 3.30

The lowest unoccupied orbital energy is -0.012 Ha. The calculation puts the HOMO-LUMO gap at 7.29 eV. The calculation puts the HOMO energy at -7.62 eV. The energy above the lowest of the compared OMol25 structures with the same formula, charge and spin is 17.9506 eV.

These are the Mulliken partial charges, in e, on atoms 1 to 8: -0.74 -0.64 0.50 0.50 0.05 0.34 -0.27 -0.53


1.
Computed, not measured: a cluster of 5 separate species, C12H10Cl16N2O4S2 in total, with ωB97M-V with the def2-TZVPD basis set.

The geometry in XYZ format:
```
46
Properties=species:S:1:pos:R:3:forces:R:3
O 3.874262 -1.438495 1.868392 -0.49 0.36 -0.58
C 3.458418 -0.504398 1.252982 0.19 -1.75 0.17
O 4.210685 0.119744 0.262543 -0.73 0.40 0.05
O 4.687120 -0.921815 -0.589853 0.35 -0.04 0.03
'''

In the Griffith Show‘s first season, viewers were introduced to “the female druggist” Ellie Walker, Andy’s first love interest, played by Father Knows Best alum Elinor Donahue. Eventually, Donahue asked to be released from her contract on the show and the hunt was on for a new female companion for the Mayberry sheriff.
Cue Joanna Moore. The blonde and pretty actor portrayed town nurse Peggy McMillan who dated the sheriff for four episodes in the show’s third season. It’s unknown why she remained such a short amount of time.
Moore in 1962 told the Akron Beacon Journal how much she enjoyed being part of The Andy Griffith Show.
“I liked the Griffith show better than anything else I’ve ever done,” she said. “Everyone on the program is so nice. The show is well organized and there is no rush. The people discuss their problems openly and the difficulties just seem to disappear. I was shocked by the honesty on that show, but it was a refreshing kind of honesty.”
Moore was married to actor Ryan O’Neal

Joanna Moore married actor Ryan O’Neal in 1963 and that year gave birth to their daughter, future Oscar winner Tatum O’Neal. The pair divorced in 1967.
In 1973, Tatum then age 9, became (and as of now still is) the youngest actor to earn the coveted statuette for Best Supporting Actress for her role as Addie Loggins in the 1973 film, Paper Moon.
Tatum starred in the film alongside her father Ryan.
She told The Guardian in 2011 that she keeps her Oscar “just in the other room on a shelf. It’s not glowing or anything.”